*as amended by Special Resolution on 8 December 2010

1.          NAME

The name of the Association shall be Tuggerah Lakes U3A Inc.

2.          OBJECTS

The Objects of the Association shall be:-

2.1.       to provide Adult Education courses for retired or semi-retired people over the age of 50 years in accordance with the aims of the world wide organisation University of the Third Age;

2.2.       to provide daytime courses at a minimal cost to members;

2.3.       to conduct courses on a purely voluntary basis;

2.4.       to encourage members to act as course leaders or tutors, to suggest courses, or offer assistance in various ways in the organisation of the programme;

2.5.       to remain non-political, non-sectarian and non-fund raising.

3.          MEMBERSHIP

3.1.       Membership shall be open to those who subscribe to the Objects of the Association.

3.2.       Admission to Membership shall be by completing the approved membership form and paying the prescribed annual fee.

3.3.       Membership shall be for one calendar year from January to December.

3.4.       Membership must be ratified each year by payment of the annual fee.

3.5.       Membership shall cease on resignation in writing from the Association, termination by the Committee, failure to pay the subscription within three months of the due date or death.

3.6.       All complaints involving members of the Association shall be referred to the Committee.

3.7.       Private and personal views on politics, religion and race shall only be expressed, if relevant, at courses on these subjects.

3.8.       There shall be provision for the appointment of Life Members.  Motions for such appointment shall be made as Special Resolutions.


A register of members shall be kept by the Association showing the name, address and telephone number of each member, the date of commencement of membership and each subsequent year of membership. The register of members shall be available for inspection by any member and shall be used only for the purposes of managing the Association and its activities and for compliance with any law.


The membership for one calendar year shall be $25.00 or such other fee as may be determined from time to time by the committee.


A member of the Association shall have no liability to contribute to the payment of debts and liabilities of the Association, or the costs, charges and expenses of the winding up of the Association except to the amount of any unpaid membership fees as required by Rule 5.


Any member accused of conduct contrary to the aims and rules of the Association may have his/her membership suspended temporarily or permanently by the Management Committee.  The member may appeal against the decision either in writing or by personal representation.  The Management Committee may then either rescind or uphold the member's suspension and forward its decision to the member in writing.

Inserted here: records of crystals:
********
For Cu6GeAu2, a crystal structure in Alexandria, relaxed with PBE gives the simulated powder diffractogram in this record (copper Kα).
No peak broadening, texture or thermal motion is included.

Structure:
```
Cu6GeAu2
1.0
6.332 0.000 0.000
0.000 2.761 0.000
-1.590 0.000 7.307
Cu Ge Au
6 1 2
Direct
0.005 0.000 0.181
0.311 0.500 0.408
0.381 0.000 0.716
0.619 0.000 0.284
0.689 0.500 0.592
0.995 0.000 0.819
0.000 0.000 0.500
0.300 0.500 0.044
0.700 0.500 0.956
```

Peak list (10 most intense, 2θ from 10° to 90°, sorted by position)
| d/Å | 2θ/deg | Rel. int. |
| --- | --- | --- |
| 7.307 | 12.1 | 55 |
| 2.655 | 33.8 | 29 |
| 2.583 | 34.7 | 21 |
| 2.522 | 35.6 | 16 |
| 2.322 | 38.8 | 18 |
| 2.203 | 41.0 | 38 |
| 2.148 | 42.1 | 45 |
| 2.118 | 42.7 | 42 |
| 2.061 | 43.9 | 100 |
| 1.833 | 49.7 | 20 |

=====

# 1
For Nd4Cd2Ga, a PBE-relaxed structure gives the simulated XRD peak list in this record (λ = 1.5418 Å (Cu Kα)).
Neutral-atom scattering factors, no anomalous dispersion.

Principal peaks in the range 10° ≤ 2θ ≤ 90°, low angle first:
h k l, 2θ (°), d (Å), I_rel
1 0 4, 23.7, 3.754, 23
1 1 0, 33.6, 2.667, 100
0 1 8, 33.9, 2.643, 97
2 0 8, 48.5, 1.877, 35
3 0 0, 60.1, 1.540, 18
1 2 8, 60.3, 1.535, 36
1 0 16, 60.9, 1.521, 17
2 2 0, 70.6, 1.333, 11
3 1 8, 80.7, 1.190, 15
2 1 16, 81.3, 1.184, 15

```
data_Nd4Cd2Ga
_chemical_formula_sum 'Nd12 Cd6 Ga3'
_symmetry_space_group_name_H-M 'R -3 m'
_symmetry_Int_Tables_number 166
_symmetry_space_group_name_Hall '-R 3 2"'
_cell_length_a 5.3337
_cell_length_b 5.3337
_cell_length_c 25.7747
_cell_angle_alpha 90.00
_cell_angle_beta 90.00
_cell_angle_gamma 120.00
loop_
_atom_site_label
_atom_site_fract_x
_atom_site_fract_y
_atom_site_fract_z
Nd1 0.0000 0.0000 0.1222
Nd2 0.0000 0.0000 0.3741
Cd1 0.0000 0.0000 0.2482
Ga1 0.0000 0.0000 0.5000
```


# 2
For Nd7Cd2Ga2, a PBE-relaxed structure gives the simulated XRD peak list in this record (λ = 1.5418 Å (Cu Kα)).
Neutral-atom scattering factors, no anomalous dispersion.

Principal peaks in the range 10° ≤ 2θ ≤ 90°, low angle first:
h k l, 2θ (°), d (Å), I_rel
2 0 1, 25.6, 3.480, 100
2 2 0, 28.6, 3.123, 71
1 3 1, 29.3, 3.043, 26
2 0 2, 31.7, 2.825, 25
0 0 3, 32.0, 2.796, 34
0 4 0, 33.1, 2.709, 60
1 3 2, 34.8, 2.577, 69
2 2 2, 35.8, 2.505, 94
2 2 3, 43.4, 2.083, 40
3 3 1, 44.8, 2.021, 22

```
data_Nd7Cd2Ga2
_chemical_formula_sum 'Nd14 Cd4 Ga4'
_symmetry_space_group_name_H-M 'C m m m'
_symmetry_Int_Tables_number 65
_symmetry_space_group_name_Hall '-C 2 2'
_cell_length_a 7.644
_cell_length_b 10.837
_cell_length_c 8.387
_cell_angle_alpha 90.00
_cell_angle_beta 90.00
_cell_angle_gamma 90.00
loop_
_atom_site_label
_atom_site_fract_x
_atom_site_fract_y
_atom_site_fract_z
Nd1 0.000 0.000 0.000
Nd2 0.000 0.500 0.287
Nd3 0.250 0.250 0.298
Cd1 0.000 0.305 0.000
Ga1 0.166 0.000 0.500
```

=====

Record 1
Computed X-ray powder pattern of Mn7CrO16 for Cu Kα (λ = 1.5418 Å), from a cell relaxed with PBE+U.
No peak broadening, texture or thermal motion is included.
********


7A.1     A dispute between a member and another member (in their capacity as members) of the association, or a dispute between a member or members and the association, are to be referred to a community justice centre for mediation under the Community Justice Centres Act 1983.

7A.2     If a dispute is not resolved by mediation within 3 months of the referral to a community justice centre, the dispute is to be referred to arbitration.

7A.3     The Commercial Arbitration Act 1984 applies to any such dispute referred to arbitration.




The Association shall have its affairs controlled and managed by a Management Committee which shall carry out all such duties and have all such powers as are required to maintain the aims and objects of the Association except those that are required by these rules to be exercised at a General Meeting of members.


9.1.       The Management Committee shall consist of the office bearers and two or more other Committee members. The office bearers shall be the President, Vice-President, Secretary and Treasurer. Every member of the Management Committee shall be a member of the Association aged 18 years or more and ordinarily resident in Australia.

9.2.       The office bearers and other members of the Committee shall be elected at the Annual General Meeting.  If no nomination is received at the Annual General Meeting for any position then the position may be filled by a member appointed by the Management Committee.

9.3.       Each member of the Management Committee shall hold office from the date of election or appointment until the next Annual General Meeting.  Retiring members may be eligible for re-election.  Office Bearers may hold the same office for only three years.


The President shall preside at all meetings of the Association.  If the President is absent or unable to preside, the Vice-President or another member of the committee may be appointed to preside.  The Chairperson shall have a casting vote at all meetings.


The Secretary shall ensure that all records of the business of the Association shall be kept, including minutes of all meetings.  Minutes of any meeting shall be signed by the presiding officer of the next meeting.  These records shall be kept in the custody of the Secretary and shall be available for inspection by any member.


The Treasurer shall receive all money relating to the business of the Association and deposit it into an account in the name of the Association.  Payments shall be as petty cash or cheque signed by any two of the three authorised cheque signatories.  Correct books and records relating to receipts and payments and other financial transactions shall be kept and these books and records shall be kept under the custody or control of the Treasurer and shall be available for inspection by any member.  The Treasurer shall submit a report on finances at each Committee and General Meeting and after the end of the financial year shall prepare financial statements for the year meeting the requirements of the Act for presentation at the Annual General Meeting..


13.1.     The Management Committee shall meet as often as is required to conduct the business of the Association and not less than four times each calendar year.  Further meetings may be convened by the President or shall be convened by the Secretary at the request of three (3) Committee members.

13.2.     Notice of Committee Meetings shall be given at the previous Committee Meeting or by such other means as the Committee may decide upon.  Time and place of meetings shall be agreed upon by the Committee.

13.3.     Any four members of the Committee shall constitute a quorum for the transaction of the business of a meeting of the Committee.

13.4.     The Management Committee shall have power to fill casual vacancies or to appoint sub-committees.

13.5.     A casual vacancy may occur if a member:

13.5.1.   resigns from office;

13.5.2.   is absent from three consecutive Committee Meetings without leave of absence;

13.5.3.   is suspended as a member of the Association.

13.6.     Each person present shall have one vote and, where there is an equal division of votes, the person presiding shall have a second or casting vote.

13.7.     Oral or written notice of a meeting convened by the President or Secretary shall be given at least seven days before the meeting together with an outline of business to be discussed.  Other business shall not be discussed unless agreed by the Committee Meeting to be urgent. 




14.1.     The Management Committee shall call a General Meeting at such times as the business of the Association may require.

14.1A   A member desiring to bring any business other than a special resolution before a general meeting may give notice in writing of that business to the secretary who must include that business in the next notice calling a general meeting given after receipt of the notice from the member.

14.2.     A quorum at meetings shall be twenty per cent (20%) of members of the Association.

14.3.     Notice of the date and place of a General Meeting and the nature of the business to be dealt with at the meeting shall be given to each member at least three weeks in advance by prepaid post (including newsletter).

14.4.     Voting at meetings shall be by a show of hands or by ballot (together with proxies) if so requested.  Postal ballots shall not be used.

14.5.     Proxies must be in writing.  No member (except the Chairperson) shall hold more than three (3) proxies.


15.1.     The Annual General Meeting shall be held within six months after the close of the Association's financial year at a time, date and place advised by the Management Committee.

15.2.     The business of the Annual General Meeting shall be:

15.2.1.   to confirm the minutes of the previous Annual General Meeting;

15.2.2.   to receive reports from the Committee concerning the activities of the Association during the preceding year;

               15.2.3.  to receive and consider the annual financial statement;

-- Unrelated to this page: records of crystals --
-- begin --
# 1
Theoretical powder diffractogram
Compound: Tl8SnTe6
Radiation: CuKα
Structure: DFT lattice parameters and positions (GGA-PBE)

Atomic structure:
```
Tl8SnTe6
1.0
9.246 0.000 0.000
0.000 10.401 0.000
0.000 0.000 12.091
Tl Sn Te
16 2 12
direct
0.000 0.146 0.000
0.000 0.269 0.376
0.212 0.544 0.781
0.212 0.682 0.049
0.248 0.076 0.229
0.252 0.924 0.729
0.288 0.318 0.549
0.288 0.456 0.281
0.500 0.731 0.876
0.500 0.854 0.500
0.712 0.318 0.549
0.712 0.456 0.281
0.748 0.924 0.729
0.752 0.076 0.229
0.788 0.544 0.781
0.788 0.682 0.049
0.000 0.777 0.435
0.500 0.223 0.935
0.000 0.009 0.555
0.000 0.453 0.119
0.000 0.548 0.560
0.000 0.842 0.891
0.247 0.222 0.807
0.253 0.778 0.307
0.500 0.158 0.391
0.500 0.452 0.060
0.500 0.547 0.619
0.500 0.991 0.055
0.747 0.778 0.307
0.753 0.222 0.807
```

Peak list (10 most intense, 10° ≤ 2θ ≤ 80°, sorted by position)
2theta, I_rel
22.55, 51
24.24, 100
26.77, 75
29.68, 39
29.78, 63
30.66, 84
33.14, 56
35.48, 36
35.64, 58
38.96, 57

---

# 2
Theoretical powder diffractogram
Compound: Li3Zn3Pt2
Radiation: CuKα
Structure: DFT lattice parameters and positions (GGA-PBE)

Atomic structure:
```
Li3Zn3Pt2
1.0
7.376 0.000 0.000
-3.688 6.388 0.000
0.000 0.000 5.469
Li Zn Pt
6 6 4
direct
0.000 0.252 0.250
0.000 0.748 0.750
0.252 0.000 0.250
0.252 0.252 0.750
0.748 0.000 0.750
0.748 0.748 0.250
0.000 0.407 0.750
0.000 0.593 0.250
0.407 0.000 0.750
0.407 0.407 0.250
0.593 0.000 0.250
0.593 0.593 0.750
0.333 0.667 0.000
0.333 0.667 0.500
0.667 0.333 0.000
0.667 0.333 0.500
```

Peak list (10 most intense, 10° ≤ 2θ ≤ 80°, sorted by position)
2theta, I_rel
13.86, 100
24.13, 42
29.20, 12
37.24, 16
41.09, 59
42.45, 28
43.57, 21
49.42, 11
60.56, 12
76.74, 15

---

# 3
Theoretical powder diffractogram
Compound: FeNi3H3
Radiation: CuKα
Structure: DFT lattice parameters and positions (GGA-PBE)

Atomic structure:
```
FeNi3H3
1.0
2.217 1.280 6.295
-2.217 1.280 6.295
0.000 -2.559 6.295
Fe Ni H
2 6 6
direct
0.167 0.167 0.167
0.833 0.833 0.833
0.056 0.720 0.388
0.280 0.612 0.944
0.388 0.056 0.720
0.612 0.944 0.280
0.720 0.388 0.056
0.944 0.280 0.612
0.107 0.439 0.772
0.228 0.893 0.561
0.439 0.772 0.107
0.561 0.228 0.893
0.772 0.107 0.439
0.893 0.561 0.228
```

Peak list (10 most intense, 10° ≤ 2θ ≤ 80°, sorted by position)
2theta, I_rel
14.07, 13
23.65, 7
25.04, 6
30.00, 4
33.28, 3
43.11, 33
43.28, 100
50.35, 66
73.85, 19
74.09, 19

---

# 4
Theoretical powder diffractogram
Compound: Tl3Cu2BiCl9
Radiation: CuKα
Structure: DFT lattice parameters and positions (GGA-PBE)

Atomic structure:
```
Tl3Cu2BiCl9
1.0
7.181 0.000 0.000
-3.590 6.219 0.000
0.000 0.000 9.013
Tl Cu Bi Cl
3 2 1 9
direct
0.000 0.000 0.000
0.333 0.667 0.718
0.667 0.333 0.282
0.333 0.667 0.148
0.667 0.333 0.852
0.000 0.000 0.500
0.000 0.500 0.000
0.173 0.346 0.317
0.173 0.827 0.317
0.346 0.173 0.683
0.500 0.000 0.000
0.500 0.500 0.000
0.654 0.827 0.317
0.827 0.173 0.683
0.827 0.654 0.683
```

Peak list (10 most intense, 10° ≤ 2θ ≤ 80°, sorted by position)
2theta, I_rel
17.32, 21
-- stop --

15.2.4.   to elect the office bearers and other committee members; and

15.2.5.   to consider any other business specified in the notice convening the meeting.


A Special General Meeting shall be called by the Secretary:

16.1.     if so directed by the Management Committee; or

16.2.     if a written request has been received from at least five per cent (5%) of the members of the Association.  Such a request shall specify the purpose of the meeting and no other business shall be considered except that for which the meeting has been called;


17.1.     A notice of motion of a Special Resolution shall be in the hands of the Secretary at least one Committee Meeting prior to the General Meeting at which it is to be submitted.

17.2.     A Special Resolution may be passed at a General Meeting if:

17.2.1.   the notice given to each member at least three weeks before the meeting under Rule 14.3 above includes the terms of the Resolution and specifies the intention to propose the Resolution as a Special Resolution; and

17.2.2.   it is carried by seventy-five per cent  (75%) of the votes cast by show of hands or by ballot (including proxies) if so requested

17.3.  A Special Resolution must be passed at a General Meeting to effect the following:

17.3.1.   a change in the name of the Association;

17.3.2.   a change of any of the rules of the Association;

17.3.3.   a change of the objects of the Association; or

17.3.4.   to voluntarily wind up the Association.




The Association shall effect and maintain Public Liability Insurance as is required under the Associations Incorporation Act, together with any other Insurance regarded as necessary by the Management Committee.


The funds of the Association shall be derived from the annual fees of members, donations, grants and such other sources as approved by the Management Committee.


20.1.     The funds of the Association shall only be used for the promotion of the Objects of the Association as set out in Rule 2 and shall not be paid or transferred to any member or person except in reimbursement of any authorised expenses incurred on behalf of the Association.

20.2.     The financial statements for the year prepared by the Treasurer shall be reviewed and approved by another member of the Management Committee before presentation at the Annual General Meeting.

20.3.     The financial year of the Association shall be from 1st October to 30th September of the succeeding year.


The Common Seal of the Association shall be kept in the custody of the Secretary or Public Officer.  The Association shall not execute any document without using the Common Seal which shall only be affixed to a document with the approval of the Management Committee.  The stamping of the common seal shall be attested by the signature of two members of the committee.



22.1      The Management Committee shall appoint a member of the Association over 18 years of age and resident in New South Wales as Public Officer for the purposes of the Act. 

22.2      It shall be the responsibility of the Public Officer to perform all the duties required of the Public Officer by the Act.

22.3      The Public Officer shall also maintain and have custody of the Register of members of the Management Committee which shall contain such particulars as are required by the Act and shall be available for inspection at any reasonable time by any person.

22.4      The Public Officer shall also maintain and have custody of the Book of Disclosure of Interests of members of the Management Committee which shall be available for inspection at any reasonable time by any member of the Association.

22.5      The office of Public Officer shall become vacant in the circumstances specified by the Act or if the Management Committee terminates the appointment of the Public Officer. Should a vacancy occur in the position of Public Officer the Management Committee shall within twenty eight days appoint a new Public Officer."


22A.1   Except as otherwise provided by this constitution, the Secretary shall keep in his or her custody or under his or her control all records, books and other documents relating to the association.

22A.2   Within 14 days after vacating office, a former member of the Management Committee shall ensure that all documents in his or her possession that belong to the Association are delivered to the Public Officer for delivery to his or her successor.

22A.3   Within 14 days after vacating office, a former Public Officer of an Association shall ensure that all documents in his or her possession that belong to the Association are delivered to a member of the Management Committee.


In the event of the Association being dissolved, the amount that remains after such dissolution and the satisfaction of all debts and liabilities shall be transferred to another organisation having similar purposes and which does not operate for the profit or gain of its individual members


In this Constitution any reference to "the Act" is a reference to the Associations Incorporation Act, 2009 as amended from time to time and includes a reference to the Regulations made under that Act.


30 Aug 2001: Original

12 Dec 2007: Amendment 01 to Rule 3.8

10 Dec 2008: Amendment 02 to Rule 9.3

09 Dec 2009: Amendment 03 to Rule 9.3

08 Dec 2010: Amendments to Rules 4, 8, 9.1, 12, 14.3, 14.4, 15.1, 15.2.5, 17.2, 20.2, 21, and 23,

                       replacement of Rule 22, insertion of Rules 7A, 14.1A, 22A, and 24